Blogging Like a Techie with Jekyll

by: Scott Nesbitt | 03 October 2018

As you probably know, I’ve done a quite a bit of blogging over the years. Most of my blogs have been put out to pasture, but I still post in this space and elsewhere.

Once upon a time, WordPress was my blogging platform of choice. WordPress is powerful and flexible, and it’s fairly easy to use. But WordPress also has a few too many features that I never use, and it requires a bit too much infrastructure for my tastes.

On top of that, I sometimes want to embrace my inner control freak a bit more. Which is why I moved away from WordPress I didn’t, however, switch to a bulky content management system. Instead, I decided to keep things static. After looking at a few static website generators, I went with Jekyll.

While Jekyll can be a bit geeky, it’s a powerful and fairly simple way to build blogs (and websites) in plain text.

So, Just What is Jekyll?

As I mentioned, it’s tool for building static blogs and websites. By static, I mean the pages and post are a set of HTML files. You aren’t pulling information from a database or a set of files (in the way, say, WordPress and Joomla! do). It’s all plain text.

Jekyll is a bit of a techie tool. You use it at the command line, and it follows the write-compile-test workflow that software developers are familiar with. You write you posts, compile your site or blog, and view everything to make sure all is good. After that, you move the site or blog to your web host.

Don’t let that scare you. At its most basic, Jekyll is fairly easy to use. You will, though, need a bit of technical knowledge if decide want to tweak or overhaul site on own.

Using Jekyll

You’ll need to install a few pieces of software before you can start using Jekyll. Those are:

Then, install Jekyll. The Jekyll website has detailed instructions for installing Jekyll and its dependencies.

Once you’ve done that, grab a theme. You can find themes here:

Now, you’re ready to go.

Crafting Your Blog

Or your website. You can use Jekyll for both.

You can either:

Run the command jekyll new [folder-name]. That command creates a folder, with the name you specify, and populates that folder with a directory structure and some files. That directory structure can be a bit confusing.

There are a number of folders and files that you can ignore. I think of them as a black box that lets Jekyll work its magic.

Jekyll site folder structure

There are a few files and folders you need to know about:

Remember the theme you downloaded? Unzip it into the folder where your site lives.

You’ll need to edit a couple of files. The main one is named _config.yml, which controls certain aspects of your blog or site. This includes the blog’s title, its metadata, the URL, links to your social media accounts, and more.

Writing Posts

You store your post in a folder named _posts. You can write them in Markdown (which is what I do), or use Textile or HTML.

Your posts need to be in a certain format. The file name must include the date the post is published, along with its title. For example, The file must also have a header that looks like this:

Example of a post

The layout: post option in the header is important. It tells Jekyll that this is a blog post. You can also use layout: page to indicate that a file is a page — for example, an About this blog page or a page with your contact information.

Since I blog ahead (or try to), I use the published: false option to tell Jekyll not to generate a blog post from that file.

Building Your Site

So you’ve got a post or two. Now what? Open a terminal window, change to the directory containing your blog or site, and run the command jekyll serve. Jekyll compiles your site, and you can view it by going to the URL that appears in the terminal (for example, in a browser. You can view site on your computer to make sure everything is working. If it isn’t, you can fix it.

Or, can just run the command jekyll build. That builds your site or blog, without the option to view it.

Putting Your Site on the Web

[Materials data from another source follow]
********
1.
# NaYGa4 | Alexandria via LeMat-Bulk | PBE | optimized geometry
# - Calculated density: 5.39 Mg/m³
# - Total magnetic moment: 0.00 μB/f.u.
data_NaYGa4
_chemical_formula_sum 'Na4 Y4 Ga16'
_symmetry_space_group_name_H-M 'F -4 3 m'
_symmetry_Int_Tables_number 216
_symmetry_space_group_name_Hall 'F -4 2 3'
_cell_length_a 7.839
_cell_length_b 7.839
_cell_length_c 7.839
_cell_angle_alpha 90.00
_cell_angle_beta 90.00
_cell_angle_gamma 90.00
loop_
_atom_site_label
_atom_site_type_symbol
_atom_site_fract_x
_atom_site_fract_y
_atom_site_fract_z
Na1 Na 0.000 0.000 0.000
Y1 Y 0.250 0.250 0.750
Ga1 Ga 0.125 0.125 0.375

2.
# NaY2Ga2 | Alexandria via LeMat-Bulk | PBE | optimized geometry
# - Calculated density: 3.98 Mg/m³
# - Total magnetic moment: 0.00 μB/f.u.
data_NaY2Ga2
_chemical_formula_sum 'Na2 Y4 Ga4'
_symmetry_space_group_name_H-M 'I 4/m m m'
_symmetry_Int_Tables_number 139
_symmetry_space_group_name_Hall '-I 4 2'
_cell_length_a 4.773
_cell_length_b 4.773
_cell_length_c 12.472
_cell_angle_alpha 90.00
_cell_angle_beta 90.00
_cell_angle_gamma 90.00
loop_
_atom_site_label
_atom_site_type_symbol
_atom_site_fract_x
_atom_site_fract_y
_atom_site_fract_z
Na1 Na 0.000 0.000 0.000
Y1 Y 0.000 0.500 0.250
Ga1 Ga 0.000 0.000 0.402

3.
# NaY2Ga2 | Alexandria via LeMat-Bulk | PBE | optimized geometry
# - Calculated density: 4.37 Mg/m³
# - Total magnetic moment: 0.00 μB/f.u.
data_NaY2Ga2
_chemical_formula_sum 'Na2 Y4 Ga4'
_symmetry_space_group_name_H-M 'P 4/m b m'
_symmetry_Int_Tables_number 127
_symmetry_space_group_name_Hall '-P 4 2ab'
_cell_length_a 8.885
_cell_length_b 8.885
_cell_length_c 3.273
_cell_angle_alpha 90.00
_cell_angle_beta 90.00
_cell_angle_gamma 90.00
loop_
_atom_site_label
_atom_site_type_symbol
_atom_site_fract_x
_atom_site_fract_y
_atom_site_fract_z
Na1 Na 0.000 0.000 0.000
Y1 Y 0.133 0.367 0.000
Ga1 Ga 0.169 0.669 0.500

4.
# NaYGa4 | Alexandria via LeMat-Bulk | PBE | optimized geometry
# - Calculated density: 5.33 Mg/m³
# - Total magnetic moment: 0.00 μB/f.u.
data_NaYGa4
_chemical_formula_sum 'Na2 Y2 Ga8'
_symmetry_space_group_name_H-M 'I m m m'
_symmetry_Int_Tables_number 71
_symmetry_space_group_name_Hall '-I 2 2'
_cell_length_a 4.457
_cell_length_b 7.001
_cell_length_c 7.805
_cell_angle_alpha 90.00
_cell_angle_beta 90.00
_cell_angle_gamma 90.00
loop_
_atom_site_label
_atom_site_type_symbol
_atom_site_fract_x
_atom_site_fract_y
_atom_site_fract_z
Na1 Na 0.000 0.000 0.000
Y1 Y 0.000 0.500 0.000
Ga1 Ga 0.000 0.289 0.332

Result set for E_form: -31.1, -5.2, -25.1, -36.3 kJ/mol of atoms, one per record in the order listed.

=====

# MnTcOs2

Crystalline MnTcOs2 at its relaxed geometry (PBE, Alexandria via LeMat-Bulk).

## Properties
DOS(E_F)	1.1418	states/eV per atom
calculated volume	13.864	A^3/atom
space group	C2/m (12)
E_form	0.3	eV per formula unit
DFT total energy	-10.4124	eV per atom

abc: 4.650 4.650 4.682
angles: 80.46 80.46 33.79
Atoms (fractional coordinates):
Mn: 0.250 0.250 0.250
Os: 0.501 0.501 0.497
Os: 0.999 0.999 0.003
********

Unless you’re running Jekyll on your own web server, that’s something you’ll have to do manually. You can upload the contents of the *_site* folder to a server using FTP or rsync. Or can host your site on:

I host my Jekyll blogs and site on Amazong S3. Setting up Amazon S3 as my host was a bit convoluted. I followed some instructions I found on the web, but they only partly worked. I should have followed Amazon’s walkthrough. Once I got that done, and pointed my domains to the blogs on S3, I got an inexpensive host.

To post your blog or site to S3, you’ll also need to use s3_website utility. Once it’s set up, it will copy only the updated files to S3. That saves a lot of time.

I Like Using Jekyll, But …

It’s definitely not for someone averse to the command line and messing with configuration files. You usually only have to tweak that configuration files once.

If you’re going customize your blog or site, you will need to learn Jekyll’s templating language. That also applies to anyone who wants to create their own themes for Jekyll. Even if you don’t want to create a theme, it can be a bit tricky to modify the one you’re using.

Speaking of themes, you can’t dynamically preview them. If you want to try a new theme with your site or blog, you have to overwrite the old theme with the new one. You’ll lose any modifications made if you decide that you want to go back to the old theme.

Jekyll isn’t for everyone. It isn’t for every blogger. I never expected it to be, and neither should you. But if you want embrace your inner geek a bit and blog in plain text, Jekyll is a good choice.